Wanted >
The reader should copy all of the contents further below character by character.

Input >
1.
A relaxed SbRu2Au crystal, computed with GGA-PBEsol.

## Properties
- Spin magnetization: 0.000 μB/cell
- E_tot: -6.91 eV per atom
- V: 17.0 Å³ per atom

abc: 2.879 2.879 8.187
angles: 90.00 90.00 90.00
Element x y z (fractional)
Sb1 0.000 0.000 0.469
Ru1 0.000 0.000 0.027
Ru2 0.500 0.500 0.218
Au1 0.500 0.500 0.786


2.
A relaxed SbRu2Au crystal, computed with GGA-PBEsol.

## Properties
- Spin magnetization: 0.002 μB/cell
- E_tot: -6.94 eV per atom
- V: 15.9 Å³ per atom

abc: 3.139 3.139 6.440
angles: 90.00 90.00 90.00
Element x y z (fractional)
Ru1 0.000 0.000 0.770
Ru2 0.000 0.000 0.230
Au1 0.500 0.500 0.500
Sb1 0.500 0.500 0.000


3.
A relaxed ScRu2Au crystal, computed with GGA-PBEsol.

## Properties
- Spin magnetization: 0.002 μB/cell
- E_tot: -7.71 eV per atom
- V: 15.6 Å³ per atom

abc: 4.454 4.454 4.454
angles: 60.00 60.00 60.00
Element x y z (fractional)
Ru1 0.000 0.000 0.000
Ru2 0.750 0.750 0.750
Sc1 0.250 0.250 0.250
Au1 0.500 0.500 0.500


4.
A relaxed ScRu2Au crystal, computed with GGA-PBEsol.

## Properties
- Spin magnetization: 0.001 μB/cell
- E_tot: -7.59 eV per atom
- V: 15.6 Å³ per atom

abc: 2.823 2.823 9.212
angles: 81.19 81.19 60.00
Element x y z (fractional)
Sc1 0.497 0.497 0.510
Ru1 0.006 0.006 0.983
Ru2 0.746 0.746 0.763
Au1 0.252 0.252 0.244


5.
A relaxed Sc2RuAu crystal, computed with GGA-PBEsol.

## Properties
- Spin magnetization: 0.000 μB/cell
- E_tot: -7.49 eV per atom
- V: 17.2 Å³ per atom

abc: 4.601 4.601 4.601
angles: 60.00 60.00 60.00
Element x y z (fractional)
Sc1 0.250 0.250 0.250
Sc2 0.750 0.750 0.750
Ru1 0.000 0.000 0.000
Au1 0.500 0.500 0.500


6.
A relaxed Sc2RuAu crystal, computed with GGA-PBEsol.

## Properties
- Spin magnetization: 0.000 μB/cell
- E_tot: -7.56 eV per atom
- V: 17.3 Å³ per atom

abc: 3.230 3.230 6.630
angles: 90.00 90.00 90.00
Element x y z (fractional)
Sc1 0.000 0.000 0.730
Sc2 0.000 0.000 0.270
Au1 0.500 0.500 0.000
Ru1 0.500 0.500 0.500


7.
A relaxed ScRu2Au crystal, computed with GGA-PBEsol.

## Properties
- Spin magnetization: 0.001 μB/cell
- E_tot: -7.74 eV per atom
- V: 15.4 Å³ per atom

abc: 2.892 4.776 4.788
angles: 100.84 90.00 107.63
Element x y z (fractional)
Sc1 0.000 0.000 0.500
Ru1 0.251 0.502 0.253
Ru2 0.749 0.498 0.747
Au1 0.500 0.000 0.000


8.
A relaxed Ru2AuSe crystal, computed with GGA-PBEsol.

## Properties
- Spin magnetization: 0.003 μB/cell
- E_tot: -6.42 eV per atom
- V: 15.2 Å³ per atom

abc: 2.813 2.813 8.785
angles: 90.00 90.00 118.76
Element x y z (fractional)
Se1 0.500 0.500 0.500
Ru1 0.000 0.000 0.270
Ru2 0.000 0.000 0.730
Au1 0.500 0.500 0.000


9.
A relaxed RuAu2Se crystal, computed with GGA-PBEsol.

## Properties
- Spin magnetization: 0.002 μB/cell
- E_tot: -5.16 eV per atom
- V: 17.2 Å³ per atom

abc: 2.829 2.829 9.799
angles: 90.00 90.00 119.01
Element x y z (fractional)
Au1 0.500 0.500 0.731
Au2 0.000 0.000 0.985
Ru1 0.000 0.000 0.490
Se1 0.500 0.500 0.294


10.
A relaxed Ru2AuSe crystal, computed with GGA-PBEsol.

## Properties
- Spin magnetization: 0.003 μB/cell
- E_tot: -6.78 eV per atom
- V: 15.7 Å³ per atom

abc: 2.815 2.815 7.922
angles: 90.00 90.00 90.00
Element x y z (fractional)
Se1 0.000 0.000 0.454
Au1 0.500 0.500 0.777
Ru1 0.000 0.000 0.029
Ru2 0.500 0.500 0.240


11.
A relaxed Ru2AuSe crystal, computed with GGA-PBEsol.

## Properties
- Spin magnetization: 0.000 μB/cell
- E_tot: -6.78 eV per atom
- V: 15.6 Å³ per atom

abc: 2.808 2.808 9.274
angles: 81.29 81.29 60.00
Element x y z (fractional)
Se1 0.488 0.488 0.537
Au1 0.256 0.256 0.232
Ru1 0.748 0.748 0.756
Ru2 0.008 0.008 0.975


12.
A relaxed RuAu2Se crystal, computed with GGA-PBEsol.

## Properties
- Spin magnetization: 0.000 μB/cell
- E_tot: -5.37 eV per atom
- V: 17.0 Å³ per atom

abc: 2.935 2.935 7.873
angles: 90.00 90.00 90.00
Element x y z (fractional)
Ru1 0.000 0.000 0.521
Au1 0.000 0.000 0.021
Au2 0.500 0.500 0.268
Se1 0.500 0.500 0.690


13.
A relaxed Ru2AuSe crystal, computed with GGA-PBEsol.

## Properties
- Spin magnetization: 0.013 μB/cell

Done >
1.
A relaxed SbRu2Au crystal, computed with GGA-PBEsol.

## Properties
- Spin magnetization: 0.000 μB/cell
- E_tot: -6.91 eV per atom
- V: 17.0 Å³ per atom

abc: 2.879 2.879 8.187
angles: 90.00 90.00 90.00
Element x y z (fractional)
Sb1 0.000 0.000 0.469
Ru1 0.000 0.000 0.027
Ru2 0.500 0.500 0.218
Au1 0.500 0.500 0.786


2.
A relaxed SbRu2Au crystal, computed with GGA-PBEsol.

## Properties
- Spin magnetization: 0.002 μB/cell
- E_tot: -6.94 eV per atom
- V: 15.9 Å³ per atom

abc: 3.139 3.139 6.440
angles: 90.00 90.00 90.00
Element x y z (fractional)
Ru1 0.000 0.000 0.770
Ru2 0.000 0.000 0.230
Au1 0.500 0.500 0.500
Sb1 0.500 0.500 0.000


3.
A relaxed ScRu2Au crystal, computed with GGA-PBEsol.

## Properties
- Spin magnetization: 0.002 μB/cell
- E_tot: -7.71 eV per atom
- V: 15.6 Å³ per atom

abc: 4.454 4.454 4.454
angles: 60.00 60.00 60.00
Element x y z (fractional)
Ru1 0.000 0.000 0.000
Ru2 0.750 0.750 0.750
Sc1 0.250 0.250 0.250
Au1 0.500 0.500 0.500


4.
A relaxed ScRu2Au crystal, computed with GGA-PBEsol.

## Properties
- Spin magnetization: 0.001 μB/cell
- E_tot: -7.59 eV per atom
- V: 15.6 Å³ per atom

abc: 2.823 2.823 9.212
angles: 81.19 81.19 60.00
Element x y z (fractional)
Sc1 0.497 0.497 0.510
Ru1 0.006 0.006 0.983
Ru2 0.746 0.746 0.763
Au1 0.252 0.252 0.244


5.
A relaxed Sc2RuAu crystal, computed with GGA-PBEsol.

## Properties
- Spin magnetization: 0.000 μB/cell
- E_tot: -7.49 eV per atom
- V: 17.2 Å³ per atom

abc: 4.601 4.601 4.601
angles: 60.00 60.00 60.00
Element x y z (fractional)
Sc1 0.250 0.250 0.250
Sc2 0.750 0.750 0.750
Ru1 0.000 0.000 0.000
Au1 0.500 0.500 0.500


6.
A relaxed Sc2RuAu crystal, computed with GGA-PBEsol.

## Properties
- Spin magnetization: 0.000 μB/cell
- E_tot: -7.56 eV per atom
- V: 17.3 Å³ per atom

abc: 3.230 3.230 6.630
angles: 90.00 90.00 90.00
Element x y z (fractional)
Sc1 0.000 0.000 0.730
Sc2 0.000 0.000 0.270
Au1 0.500 0.500 0.000
Ru1 0.500 0.500 0.500


7.
A relaxed ScRu2Au crystal, computed with GGA-PBEsol.

## Properties
- Spin magnetization: 0.001 μB/cell
- E_tot: -7.74 eV per atom
- V: 15.4 Å³ per atom

abc: 2.892 4.776 4.788
angles: 100.84 90.00 107.63
Element x y z (fractional)
Sc1 0.000 0.000 0.500
Ru1 0.251 0.502 0.253
Ru2 0.749 0.498 0.747
Au1 0.500 0.000 0.000


8.
A relaxed Ru2AuSe crystal, computed with GGA-PBEsol.

## Properties
- Spin magnetization: 0.003 μB/cell
- E_tot: -6.42 eV per atom
- V: 15.2 Å³ per atom

abc: 2.813 2.813 8.785
angles: 90.00 90.00 118.76
Element x y z (fractional)
Se1 0.500 0.500 0.500
Ru1 0.000 0.000 0.270
Ru2 0.000 0.000 0.730
Au1 0.500 0.500 0.000


9.
A relaxed RuAu2Se crystal, computed with GGA-PBEsol.

## Properties
- Spin magnetization: 0.002 μB/cell
- E_tot: -5.16 eV per atom
- V: 17.2 Å³ per atom

abc: 2.829 2.829 9.799
angles: 90.00 90.00 119.01
Element x y z (fractional)
Au1 0.500 0.500 0.731
Au2 0.000 0.000 0.985
Ru1 0.000 0.000 0.490
Se1 0.500 0.500 0.294


10.
A relaxed Ru2AuSe crystal, computed with GGA-PBEsol.

## Properties
- Spin magnetization: 0.003 μB/cell
- E_tot: -6.78 eV per atom
- V: 15.7 Å³ per atom

abc: 2.815 2.815 7.922
angles: 90.00 90.00 90.00
Element x y z (fractional)
Se1 0.000 0.000 0.454
Au1 0.500 0.500 0.777
Ru1 0.000 0.000 0.029
Ru2 0.500 0.500 0.240


11.
A relaxed Ru2AuSe crystal, computed with GGA-PBEsol.

## Properties
- Spin magnetization: 0.000 μB/cell
- E_tot: -6.78 eV per atom
- V: 15.6 Å³ per atom

abc: 2.808 2.808 9.274
angles: 81.29 81.29 60.00
Element x y z (fractional)
Se1 0.488 0.488 0.537
Au1 0.256 0.256 0.232
Ru1 0.748 0.748 0.756
Ru2 0.008 0.008 0.975


12.
A relaxed RuAu2Se crystal, computed with GGA-PBEsol.

## Properties
- Spin magnetization: 0.000 μB/cell
- E_tot: -5.37 eV per atom
- V: 17.0 Å³ per atom

abc: 2.935 2.935 7.873
angles: 90.00 90.00 90.00
Element x y z (fractional)
Ru1 0.000 0.000 0.521
Au1 0.000 0.000 0.021
Au2 0.500 0.500 0.268
Se1 0.500 0.500 0.690


13.
A relaxed Ru2AuSe crystal, computed with GGA-PBEsol.

## Properties
- Spin magnetization: 0.013 μB/cell